

Both Uranus and Neptune are the ice giants in the outer location of our solar system. Uranus is 1.784 billion miles from the sun. This means that Uranus and all of its satellites receive some of the lowest sunlight of all of the planets.

Miranda surface

Of Uranus’ 27 moons, Miranda has the closest orbit of the five largest moons and it’s very small. But size isn’t the only notable feature about Miranda. With a diameter of around 293 mi/471 km, Miranda has been called the “Frankenstein” of moons because its appearance is so strange. If you look at this moon you would think that someone took a lot of pieces and parts and just jammed them together. Miranda is the eleventh moon in orbit around Uranus and is the fifth largest of all of the moons rotating around Uranus.

Miranda is a sphere of rock and ice with an incredibly strange landscape. Researchers have been curious about Miranda for a long time and now think that they know why the moon is so bizarre. Scientists think that the influence of the gravity of Uranus on Miranda has caused a constant state of stretching and squeezing so that Miranda’s internal contents are in a steady state of heating up and churning.

The landscape of Miranda includes a lot of deformities and extremes, and is the most unusual among all of the extraterrestrial objects. While it is only one-seventh the size of our own moon, Miranda has huge canyons that are twelve times deeper than the Grand Canyon, and scientists have called this moon exotic and beautiful. Researchers have indicated that Miranda’s small size doesn’t support the ability to have much in the way of tectonic activity, and yet the landscape has the appearance one that has an intense internal energy.

Miranda Statistics:

  • Orbits: Uranus
  • Discovered By: Gerard P. Kuiper
  • Discovery Date: February 16. 1948
  • Diameter: 471.6 km
  • Mass: 6.59 × 10^19 (0.09% Moon)
  • Orbital Period: 1.4 days
  • Orbit Distance: 129,900 km
  • Surface Temperature: – 213 degrees C


Astronomer Gerard P. Kuiper discovered Miranda while at the McDonald Observatory in Texas on February 16, 1948. Miranda was the last moon orbiting Uranus to be found before the launch of the 1986 Voyager 2 spacecraft.

Miranda was given the name of the Prospero’s daughter from the William Shakespeare play, “The Tempest.”

Formation, Structure and Surface:

Miranda has three large features that are called “coronae,” and these are fairly unique in the solar system. Their shape is kind of like a crude oval or trapezoid. The coronae are collections of valleys and ridges that have a sprinkling of craters and are separated by heavier and potentially older cratered terrain. Each one is around 120 mi/200 km wide. This creates patches on the surface that are mismatched with sharper boundaries that lead into giant canyons. These canyons are as deep as twelve times the depth of the Grand Canyon.

Miranda’s surface has an appearance of mismatched patches. Separating the coronae are concentrated belts of troughs and ridges that are highly crated. The names of the three corona are from places in Shakespeare’s play: Arden, Elsinore, and Inverness.

Miranda's broken terrain

Scientists continue to study Miranda to try to figure out how it was formed and what has caused its unusual landscape. Some feel that at one point in its history, Miranda could have been involved in a horrific collision that caused it to become shattered and then it later came together to be reassembled in such a strange way. Another theory that is more popular is that the coronae are actually locations of large metallic meteorite and rocky hits that affected the subsurface ice by partially melting it. This would have created variations of water with a slushy consistence that may have arisen to the surface, causing the surface to crumple as the water refroze. This may have happened early in Miranda’s formation as it is a small moon and would have cooled quickly. There isn’t any radioactive material to maintain heat in the subsurface.

Continued study of Miranda has offered additional information that shows that the gravitational pull from Uranus could have pulled and pushed Miranda enough to cause heating inside of the moon. It’s known that Uranus’ gravity does generate tidal forces in the same way that our moon does to our planet. Scientists have seen that tidal forces that exist on other objects in our solar system are a lot bigger than those of Earth. The effect of the forces also depend on the composition of the object being pulled and pushed. In the case of Miranda, it’s believed that it’s made up of mostly equal parts of silicate rock and water ice, which would be easier to manipulate than a higher percentage of rock. However, it also depends upon the gravitational pull of the planet. In the case of Jupiter, which has an enormous gravitation pull, it can cause solid rock surfaces of Io to bulge out as much as 300 ft/90 m, which in turn, is the engine that heats up the interior to cause volcanic eruptions.

The brightest of the moons around Uranus is Ariel, and Miranda has a surface that is almost as bright as Ariel. However, none of the moons reflect more than around 1/3 of the light from the sun that hits them. Scientists believe that the reason for this low reflectivity is that some of the surfaces have carbonaceous material that darkens and absorbs the sunlight.

It has been noted that when Miranda is in “opposition,” there is a dramatic increase in the brightness. Opposition is a situation where the viewer is directly between the sun and the object (Miranda). Researchers explain that this condition indicates that Miranda has a porous surface, casting reflectivity-decreasing shadows when other angles illuminate it. Some assume that this condition could be due to hundreds of thousands of years of strikes by micrometeorites causing the top soil to be constantly disturbed.

Miranda once had an oval-shaped orbit that is called “eccentric.” However, over time, Miranda moved closer to Uranus and the orbit changed. Researchers have created three-dimensional computer simulations of the interior of Miranda for more extensive studies on the effects of the tidal forces as it stretched and squeezed the moon. The goal was to see if these tidal forces would be enough to generate the kind of heat needed. Researchers have figured out that it would require around 5 gigawatts or 2.5 times the top output of the Hoover Dam that is on the Colorado River a to cause the icy mantle to churn and then create the condition for ice to be buoyant enough to rise to the surface, contort it, and create the coronae.

The results of the computer models did accurately explain where the coronae forms and its deformation patterns. This type of heating process is known as “convection,” but scientists have recognized that if this was the main cause of the creation of the coronae, Miranda’s surface had to be weaker than what was used in the laboratory experiments. Geologists see the same situation on Earth. For convection to be successful on the surface of Earth, the rocks have to be a lot weaker than expected.

Atmosphere and Magnetosphere:

Miranda has no detected atmosphere or magnetosphere.

Could Life Exist?

Miranda doesn’t have any of the requirements needed to begin or sustain life as we know it.

Interesting Information:

  • Miranda has an odd appearance, looking more like puzzle pieces that were mismatched and jammed together so that they don’t fit.
  • Miranda’s surface has a younger appearance with a lot of past activity.
  • The coronae on Miranda have very few craters but do have a lot of valleys and ridges. There seems to be a defined boundary that separates the cratered terrain.
  • Miranda is a small moon and yet it has canyons bigger than those found on Earth.
  • Verona Rupes is the highest cliff in the solar system and stands up to 20 km high.
  • Scientists don’t seem to be able to come to an agreement on how the features of Miranda were formed.
  • Miranda holds the distinction of belonging to some of the smallest objects in the solar system that has been able to use its own gravity to become spherical.
  • Miranda shares the same cycle of extreme seasons as Uranus due to the tilt of its parent planet.
  • Miranda may be left over material from the formation of Uranus billions of years ago.


The NASA Voyager 2 spacecraft took images of the southern hemisphere of Miranda in 1986 during its flyby of Uranus. The spacecraft didn’t get images of the northern hemisphere.

# C58H50AgN5O2S2

A molecular structure, C58H50AgN5O2S2 (ωB97M-V with the def2-TZVPD basis set, OMol25).

* LUMO energy: -0.0107 Ha
* Kohn-Sham gap: 0.220 Ha
* HOMO level: -0.231 hartree
* multiplicity: 1
* F_max: 0.029 hartree/bohr
* net charge: 0
* energy relative to the best compared isomer or geometry (same formula, charge and spin): 36.8 kcal/mol

CARTESIAN COORDINATES (ANGSTROEM)
Ag: 0.474 -1.089 0.686
C: -1.971 -2.366 -4.574
C: -0.772 -1.817 -4.095
N: -0.196 -2.185 -2.980
C: -0.725 -3.205 -2.280
C: -1.878 -3.911 -2.738
C: -2.521 -3.416 -3.892
C: -2.318 -5.062 -2.066
C: -1.618 -5.515 -0.974
C: -0.522 -4.814 -0.488
C: -0.073 -3.626 -1.075
N: 0.960 -2.912 -0.531
C: 1.926 -3.672 0.100
C: 2.769 -4.486 -0.643
C: 3.734 -5.289 -0.040
C: 3.844 -5.346 1.327
C: 2.990 -4.569 2.131
C: 2.984 -4.658 3.538
C: 2.068 -3.932 4.250
C: 1.198 -3.078 3.560
N: 1.206 -2.928 2.254
C: 2.058 -3.682 1.524
H: -2.430 -1.962 -5.464
H: -0.275 -1.031 -4.650
H: -3.435 -3.888 -4.229
H: -3.186 -5.593 -2.433
H: -1.932 -6.417 -0.465
H: -0.024 -5.160 0.406
H: 2.650 -4.488 -1.716
H: 4.390 -5.883 -0.662
H: 4.554 -6.005 1.804
H: 3.685 -5.321 4.027
H: 2.002 -4.000 5.325
H: 0.464 -2.508 4.116
C: -3.832 1.827 -6.367
C: -3.183 1.496 -5.057
C: -3.907 0.950 -4.004
C: -3.268 0.536 -2.849
C: -1.896 0.664 -2.730
C: -1.167 1.247 -3.754
C: -1.811 1.671 -4.901
S: -1.113 -0.186 -1.319
O: -1.952 0.140 -0.145
C: 0.328 0.904 -1.247
C: 1.523 0.334 -1.735
C: 2.622 1.127 -1.922
C: 2.583 2.501 -1.592
C: 3.667 3.365 -1.853
C: 3.626 4.680 -1.483
C: 2.518 5.180 -0.785
C: 1.441 4.375 -0.539
C: 1.418 3.037 -0.983
C: 0.253 2.219 -0.863
C: -0.950 2.850 -0.285
C: -1.547 3.968 -0.935
C: -1.262 4.310 -2.273
C: -1.817 5.423 -2.842
C: -2.680 6.249 -2.105
C: -2.999 5.926 -0.816
C: -2.457 4.777 -0.204
C: -2.753 4.452 1.136
C: -2.233 3.328 1.710
C: -1.371 2.504 0.976
S: -0.640 1.071 1.807
O: -0.090 1.661 3.045
C: -2.106 0.145 2.356
C: -1.749 -1.109 2.824
C: -2.706 -2.013 3.240
C: -4.052 -1.671 3.193
C: -5.116 -2.632 3.628
C: -4.398 -0.405 2.730
C: -3.441 0.501 2.304
H: -4.916 1.786 -6.299
H: -3.513 1.105 -7.120
H: -3.535 2.815 -6.712
H: -4.975 0.815 -4.092
H: -3.823 0.096 -2.033
H: -0.096 1.356 -3.670
H: -1.232 2.114 -5.699
H: 1.511 -0.710 -2.031
H: 3.530 0.713 -2.334
H: 4.532 2.969 -2.365
H: 4.451 5.340 -1.709
H: 2.511 6.206 -0.448
H: 0.600 4.767 0.008
H: -0.607 3.677 -2.853
H: -1.599 5.667 -3.871
H: -3.086 7.140 -2.562
H: -3.667 6.550 -0.241
H: -3.401 5.107 1.699
H: -2.421 3.085 2.745
H: -0.696 -1.368 2.861
H: -2.403 -2.991 3.591
H: -4.745 -3.653 3.602
H: -5.989 -2.553 2.983
H: -5.426 -2.406 4.649
H: -5.443 -0.129 2.688
H: -3.754 1.453 1.907
C: 3.151 0.659 1.687
C: 3.971 1.804 2.329
N: 4.373 1.422 3.675
C: 5.208 0.229 3.607
C: 4.436 -0.917 2.909
N: 3.075 -0.477 2.602
C: 2.430 -0.066 3.850
C: 3.191 1.123 4.475
H: 3.600 0.306 0.755
H: 2.132 0.998 1.484
H: 3.373 2.715 2.399
H: 4.877 2.029 1.759
H: 5.481 -0.043 4.629
H: 6.124 0.490 3.073
H: 4.372 -1.801 3.544
H: 4.917 -1.212 1.976
H: 2.427 -0.930 4.517
The data records stop here:

The three coronae imaged on Miranda

There are currently no plans for any other visits to Miranda.

Facts about Miranda Moon for Kids:

  • Miranda is mostly made up of ice and may have some material closer to the core that is rock.
  • Miranda has a surface topography that baffles scientists. No two areas are alike and the surface has just about everything from craters to cliffs.
  • Scientists think that Verona Rupes, the largest cliff on Miranda and in the solar system, may have been created when there was a fault in Miranda’s surface causing a crack and part of the surface to collapse and drop.
  • One of Miranda’s coronae has a feature in its center that looks like a “checkmark.”
  • Miranda is also called the “patchwork moon” because of its strange surface.
  • Miranda is tidal locked to Uranus so only one side of the moon ever faces the planet.
  • NASA didn’t have a choice in sending Voyager 2 close to Miranda because it needed to flyby to get the boost that was required to head to Neptune.
  • Miranda was never assumed to have much to offer scientists and it wasn’t until Voyager 2 sent back the images of the moon that they realized that it was more remarkable than they would have ever guessed.
  • Miranda’s surface is unlike anything else that has been found so far in our solar system.

Pop Culture:

The novella by G. David Nordley from Analog Science Fiction entitled “Into the Miranda Rift” was set on Miranda.

Doug Naylor and Rob Grant wrote the novels based on their sitcom Red Dwarf. In the novels, Miranda is a huge and crowded spaceport where a main character decides to take a vacation when his girlfriend dumps him. He adopts a cat that is named Frankenstein.

Kim Stanley Robinson’s 1997 Blue Mars includes two characters that visit Miranda. The moon is in the process of being preserved as a primal wilderness by Uranian system colonists. Some of the other moons of Uranus are being colonized through the use of fusion lanterns in the upper atmosphere of Uranus so that there is additional light.

The musical group Pink Floyd created the 1967 song Astronomy Domine and has a line in the song that mentions Miranda.

The computer game Descent’s level 18 occurs in a mine on the moon of Miranda.





